Why can't we get all the people together in the world that we really like and then just stay together? I guess that wouldn't work. Someone would leave. Someone always leaves. Then we would have to say good-bye. I hate good-byes. I know what I need. I need more hellos. Charles M. Shultz
=====
This record from Alexandria describes an optimized crystal structure of MgTeIN2. The functional is PBE.

E above lowest polymorph ... 0.0000 eV/atom
Total energy ... -3.46 eV/atom

Cell and atoms, written as extended XYZ:
```
5
Lattice="4.122 0.000 0.000 0.000 4.122 0.000 0.000 0.000 7.351" Properties=species:S:1:pos:R:3 pbc="T T T"
I 0.000 0.000 3.675
Mg 2.061 2.061 3.675
Te 0.000 0.000 0.000
N 0.000 2.061 0.000
N 2.061 0.000 0.000
```
=====
I am not a fan of good-byes. Never have been. This time of year is always full of good-byes for most child care providers and I am no exception. This year I have two little ones going off to kindergarten.
I've always thought that doing family child care was a double-edged sword when it came to the close relationships we build with the families in our program. While I love the fact the that the greater majority of families that come through my program have been with me from birth to school, it also makes it harder to let them go.
When you have families that have 2 or 3 children it is not unusual to have that family involved in your program for a decade or more. A DECADE! Think about how much time that is. When you work in child care you often see your child care families more than your own family members or friends. While it is always hard to say goodbye to the children that leave my program it has become increasingly harder over the last few years. I attribute that to the fact that our own children are now grown and out of our house.
Recently I was taking a trip down memory lane thinking about different families that have come and gone over the years. Now you all know that even though we try not to, we have favorites. For a multitude of reasons we bond with some families more than we do others. There was a period of time about 5 years ago that I had a larger than normal group of longtime families that I was really close too.
One day a couple of months ago one of those moms stopped by. I thought she was bringing her kids to visit but she was alone. She said that she was in the area and wanted to stop in because she had a few questions. The first thing she asked was how was child care going and did I think I would be doing it a while longer. I said it was going great and yes I was going to keep going for at least another 4 or 5 years. She said that was great news and wondered if I had any infant openings. I assumed it was for a friend and told her that if it was for her of course we had an opening. She smiled and quietly said, "it is." Their new little bundle was a total surprise! One of my favorite families ever will be rejoining or program in November.
As I've mentioned before I look for signs that I am on the right track, I am where I need to be in my life. This was definitely one of those signs.
Last Friday I said goodbye to one of my two little ones heading off to kindergarten and yesterday I said goodbye to the other little one. Today holds another goodbye for me. Our son is going back to Chicago (900 miles away) this afternoon. He has been home for a week for our oldest daughter's wedding which had a whole lot of goodbyes tied to it. I'm feeling sad as I write this post just thinking about it. I know I am being selfish and I need to focus on the fact that he is only a phone call or Skype away but it is hard none the less.
Today I will work hard to make the day full of hellos. Hello to new opportunities to develop relationships with the new little ones starting with our program next week. Hello to new experiences for the children in my program. Hellos to people I haven't talked to in a while. Hellos to new ideas and the places they can take me. Hellos to life!
Are you going to have hellos or goodbyes in your program today? How will you handle them? What can you do to make memories today?